McD & Muffie...living it up in DC

Wednesday, May 24, 2006

Guess who's back....back again??? Muffie's back...tell a friend :)

Helllloooooooooooooooo :) How are you today??? Happy hump day! YAY! Today is a short day for muffie - no...not to be confused with short bus - my company is going bowling :) I suck too - but going to be fun (anything that does not involve a chair and a computer screen sounds fabulous to me :) ) Hopefully I can get one strike! heehee. Anyway...whats shaking? Any fun plans for this evening? I am going to go home after and chillll. I had such a hard time gettin gup this morning! OMG. Maine-lag (like jet-lag but worse because it involves a whole lotta trees! :) ) OHH I saw a moose! (not that I am surprised because there are probably more moose than people up there ...heehee). It was very ugly and too skinny. I wanted to feed it - but then thought I would end up getting trampled.

SOooo excited to meet up tomorrow night!!! THoughts on where we should go??? ( not laventes :) )!

ANyway...sorry this is so short...I gotta go get my bowl on :) heehe.. Chat with you lata!

Muf-anuter :)

Friday, May 19, 2006


Hey chicka! Hope your day is going well. Just wanted to discuss the plans for this evening. My parents will be arriving around 530ish. I was thinking we could go to dinner around 6:45-7:00 - totally depending on whenever you can get here (and dont want you to have to rush). We are just going to go out in Cleveland Park. There is an italian restaurant called Sorriso that is suppose to be pretty good. Its got a full italian menu and brick oven pizzas. Soooo just either text me or email me and let me know what you plans is :) Cant wait to see ya!

~ Mufster

Thursday, May 18, 2006

Shake Shake to the Left....ahh ahh

Heeeellllooooooo McD. How are you today?? Things are good here. Work has been busy but not overwhelming. Sorry I did not get to text you until late last night. We got out to his place (out by Dulles Airport - aka the sticks) at like 600 and before I knew it...it was 900!! Took me over an hour to get home. Seriously!!! But it was fun to catch up with everyone outside of work.

Soo tomorrow night the rents are coming in town (stopping for the night before then venture to North Carolina). Would you like to go out to dinner? I would lo-lo-lo-lo-ve if you came :) My step dad (aka moms significant other) is coming and he will LOVE you :) I am not quite sure where to go, but I am working on it :)

I have to go to Maine this weekend - cant believe it!. One of my friends mom is throwing her a surprise bridal shower and asked us to come. I haven't seen her since graduation. And, sadly, my roommates mother just got diagnosed with cancer, so I am going to go see her mom. So sad. It is going to be an insane weekend though. I am flying into Boston, driving with Erin -Bo to Bangor, Me (4hrs) and then getting up on Sunday and driving to Madawaska (5 MORE hours) surprising her, seeing my roommates mother and then driving back half way Sunday night and flying home on Monday.....Seriously...Does that count as a weekend! LOL. It should be fun to catch up though.

Sooo thoughts....Are you around next weekend? I can't keep my weekends straight! I know you have a millllllion things going on but I was thinking if you are around....We should have a party on Sunday. Most people are not working on Monday....So it would be cool to have a BBQ or just go out for drinks...with Bess, Nate, some of his friends, Becca, and whoever. Just might be cool to have a little get together! We could do it at my place (depending on the numbers) or just at a bar :) Let me know what you think! When again were you planning something at your house?? I tell you...I need to start using my planner! My mind is gone!

Hope everything is fabulous in the world of McD :) Chat with you lata!

Muffie :)

Wednesday, May 17, 2006


:) The song came on and I thought of you :) HOw are youuu? How was the journey to western mary-land?? Was everyone named mary? (omg...horrible). Anyway...how was last night? Most importantly how was the cake?? mmmmm salivating. Things are better here. Feeling a little better - i literally could not move last night - i just layed in bed with the heating pad. But feel much better today.

So work was interesting today....seriously the most random things happen to me. These three men had a meeting here with my boss. I walked in at the end of the meeting to hand out folders and one of the men (around the age of ohhh lets say 60?) stood up, pulled out this plastic bag filled with red things....and in a flash before I knew it the man was trying to put a red clown nose on my face! A FREAKIN RED CLOWN NOSE! So this leads me to many thoughts:
1) Who the heck is this guy?
2) Why on god's green earth is he carrying around RED clown noses?
5) Then says - I should give you more noses because if you have it on everyone will want to wear it! (he said that infront of my boss)

Dan = my boss - was so pissed that he did it.

seriously this is insane....more details to come. I hope your day went well.

Talk to you later....


Tuesday, May 16, 2006

Ohhhh I wish.......

I was an oscar myer weaner...lalalalala. Lol I have no idea....none. Oh tuesday....why arent thou as cool as friday? Or Thursday even?

Hiia Mc Da-bomb cake baker :) Glad to hear your cake was a success! I am sure that it tastes wonderful....A am going to immediately bust into the the list verison because there are soo many things to say!!

1) Seriously....I watched Greys Anatomy.....what the heck?!? Did you watch it??? OMG sooo many twists and turns.....sooooooo much drama.....i cried....i yelled....i laughed.....and all of this emotion of a FREAKIN TV Show....seriously?? OMG it was nutz. If you did not see it....you must or I will give you the synposis because they DEFINITELY amounted to a mind blowing season finale. Oh Dear God. I think I am still traumatized. - My sister IMed me and said that she just watched it and now SHE is bawling....seriously!!!
2) How was the gymboree?? Did you shake it - shake it - shake it like a polaroid picture??
3) Okay so seriously....i hate being a girl (well sometimes...i mean boys suck too....but you get my drift). My friend has joined me today and I am in an insane amount of pain. Seriously i have a high pain tolerance (getting the crap kicked out of me on the soccer fields) but when it comes to this....omg....lets just say i would rather be on the fields. It is so bad that I think I am going to try to go home early and curl up with the heating pad. I am sooooooo sorry but I dont think i can make it tonight. I just really feel awful and I wouldnt bail unless it was bad. SO you know its bad. Maybe I can meet up with you later tomorrow night - depending on your plans. I have a happy hour at a co-workers house but then maybe I could just metro up and grab my stuff and we could go to target or something or even to a dance class (if there are any). Let me know what you think. But once again - I am very sorry. I just wouldnt be much fun.
4) soooo fun story??? GOt any....because I would Lo-LO-lo-LO-VE a pick me up :)
5) Hmmm did you get that email about golfing with Bess? So seriously I SUCK...but it might be kinda fun - just being super silly.....i dont know though....a lot of money to be silly - but a fun hobby! (we should add going to a driving range to the summer list ;) ) - let me know what you think
6) I hope that you are having a good day playing in the streams......speaking of playing outside how is the weather there? It is burrrrrzzzzllll here...omg (well im cold at least)
7) OMG I was walking down the road to the metro today and I saw becca on the other side of the st!! - so I was like ohh she is back! So i texted her (saying - hey who is that hot girl walking down the st?) and called her and she did not respond. So i was down in the metro and i saw her again so I was just about to run up and hug here - like inches from her - and it WAS NOT HER! OMG....it seriously was her twin! Same size, same hair, same fashion sense....same....same....same. I was dying laughing at myself. How funny though - becca is going to get my text and be like wtf!?! LOL. Muffie moment.

Anyway...I gotta go to a meeting....I just wanted to say hi and catch up and tell you I am very sorry about this evening. I will catch up with you later....and please save me a piece of cake???? PLEASE :)

Best -

Muf-a loompa (I feel like a walking balloon - and umpa loompas kinda look like a balloon..lol - i have NO idea.)

Friday, May 12, 2006

Mr.DJ...somebody replay...Mr.DJ wont you turn the music UP!!!!!!!!!!

YIPEEEEEEE soooo close to quiting time :) yayayayayay!!!! lol. I totally know the movie....i need to watch it again! It has been sooo long!! OMG i love your lists....

== Here the page breaks off for data records ==
____________
{"formula": "C21H31N3O", "method": "wB97M-V/def2-TZVPD", "e_above_lowest_kj_mol": 29.4, "total_charge": 0, "total_energy_ev": -28799.3165, "smiles": "Cc1[nH]c2ccc(C(=O)NCCCN(C)C3CCCCC3)cc2c1C", "molar_mass_da": 341.50, "elements": ["C", "C", "N", "C", "C", "C", "C", "C", "O", "N", "C", "C", "C", "N", "C", "C", "C", "C", "C", "C", "C", "C", "C", "C", "C", "H", "H", "H", "H", "H", "H", "H", "H", "H", "H", "H", "H", "H", "H", "H", "H", "H", "H", "H", "H", "H", "H", "H", "H", "H", "H", "H", "H", "H", "H", "H"], "coordinates": [[-8.83531, -1.01638, -0.10951], [-7.38249, -0.69765, -0.07200], [-6.46444, -1.68396, -0.36961], [-5.20473, -1.17729, -0.27346], [-3.96657, -1.76669, -0.49115], [-2.84279, -0.99065, -0.30867], [-2.93774, 0.35631, 0.07858], [-1.73526, 1.21553, 0.26450], [-1.74697, 2.41464, 0.05508], [-0.63303, 0.57096, 0.72483], [0.64160, 1.22678, 0.88854], [1.65451, 0.77211, -0.16321], [2.98033, 1.53685, 0.00200], [4.05694, 1.20682, -0.90549], [3.67886, 1.22160, -2.29896], [4.98236, 0.14820, -0.53995], [4.37208, -1.22955, -0.23692], [5.48240, -2.25569, -0.02733], [6.39415, -1.83150, 1.12012], [6.97928, -0.44716, 0.85554], [5.86419, 0.57222, 0.64045], [-4.17607, 0.94806, 0.26832], [-5.32454, 0.18349, 0.10280], [-6.72295, 0.46255, 0.22325], [-7.29072, 1.78713, 0.60347], [-9.11743, -1.40426, -1.08875], [-9.08213, -1.77146, 0.63789], [-9.42471, -0.12774, 0.09298], [-6.70198, -2.62702, -0.62590], [-3.88683, -2.79896, -0.80035], [-1.87402, -1.42711, -0.50719], [-0.67291, -0.42136, 0.88883], [1.02659, 1.02780, 1.89514], [0.45134, 2.29791, 0.78716], [1.23648, 0.96595, -1.15197], [1.81754, -0.30278, -0.06845], [2.76457, 2.60454, -0.12995], [3.34327, 1.40165, 1.02169], [3.10694, 0.33855, -2.62019], [4.57983, 1.28387, -2.91050], [3.07663, 2.10929, -2.48746], [5.64278, 0.03163, -1.40841], [3.73040, -1.54266, -1.06379], [3.76690, -1.17082, 0.66998], [5.04743, -3.23511, 0.18641], [6.07072, -2.34529, -0.94375], [7.19899, -2.55931, 1.24382], [5.81896, -1.80889, 2.04893], [7.60362, -0.14095, 1.69767], [7.61326, -0.48562, -0.03329], [5.26747, 0.64149, 1.55151], [6.28150, 1.55897, 0.43596], [-4.22478, 1.99022, 0.54328], [-8.37397, 1.79192, 0.51696], [-6.88560, 2.56596, -0.04090], [-7.02398, 2.03291, 1.63141]], "forces_ev_per_angstrom": [[0.1255, 0.0095, 0.0118], [-0.0856, 0.3192, 0.0811], [-0.1886, -0.3290, -0.0836], [0.4126, 0.4402, 0.1025], [-0.0448, -0.1289, -0.0084], [0.0094, 0.0653, 0.0526], [-0.2624, 0.0333, -0.1166], [0.0907, -0.1482, 0.1244], [-0.0798, 0.2602, -0.0523], [0.1561, -0.2696, 0.0928], [0.1950, 0.0759, -0.2296], [0.1637, 0.2459, 0.2347], [-0.1942, -0.1048, -0.0432], [0.0922, 0.0594, -0.1782], [0.0827, -0.0785, 0.1076], [-0.0739, 0.1168, 0.3889], [0.2375, 0.0363, -0.3752], [-0.1574, -0.0416, 0.2945], [0.2088, -0.0411, -0.2634], [-0.1711, -0.0179, 0.3259], [0.2178, -0.1075, -0.3617], [0.1023, -0.1229, -0.0244], [0.1263, -0.4953, -0.1321], [-0.3054, -0.1290, -0.0343], [0.0478, -0.1677, -0.0082], [-0.0832, -0.0053, -0.0406], [-0.0787, -0.0233, 0.0309], [-0.0694, 0.0200, 0.0038], [0.0448, 0.0969, 0.0231], [0.0413, -0.0824, -0.0392], [0.0689, -0.0334, -0.0194], [-0.1298, 0.1106, 0.0126], [-0.0193, 0.0821, -0.0586], [0.0625, -0.0963, 0.1117], [-0.0476, -0.0531, -0.0391], [-0.0023, -0.0589, -0.0653], [-0.0470, -0.0162, 0.1341], [-0.0117, 0.0844, 0.0702], [-0.0569, 0.0198, -0.0583], [-0.0183, -0.0012, -0.0814], [-0.0694, 0.0349, -0.1081], [0.0046, -0.0227, 0.0302], [-0.1140, 0.0091, 0.0353], [-0.1131, 0.0299, 0.0479], [0.0422, -0.0315, -0.0836], [0.0225, -0.0547, -0.0639], [-0.0209, -0.0288, 0.0881], [-0.0123, -0.0312, 0.0815], [0.0820, 0.0086, -0.0519], [0.0830, 0.0173, -0.0315], [-0.0712, 0.0421, 0.0773], [-0.0540, 0.0534, 0.0112], [0.0230, 0.1341, 0.0137], [-0.0766, 0.0893, 0.0180], [-0.0443, 0.1248, -0.0173], [-0.0401, 0.1017, 0.0632]]}
____________
== The data records stop here ==

1) You have HAVE to tell me all about the 9:30 club tomorrow night!
2) How about I come up to your place and we cook (love to cook).....I will work on the menu tonight and then I can come up a bit early and we can go to the store :) then I will just get ready at your place....how does that sound? We can cook, chat, get silly and then venture out :) sooo fun! Can't wait!
3) Lunch on Sunday can be any time. I was thinking around Noon-ish. He is going to arrive in the morning. Totally flexible though. Excited that you might get to come ;)
4) Mr. Matthew....Mr. Matthew....clearly wants to still be in touch with Mc-Darling. He has clearly been looking for you too (he has seen audrey and asking why you arent there...makes it obvious). I mean I dont blame him - you are a great girl and of course he is going to make an effort to keep touch. The ball is in your court. If you want to talk to him and be friends then do it....if it makes you uncomfortable then you dont owe him anything. Basically is all your choice :) Just dont be surprised that he wants to keep touch with you - you rock ;)
5) OMG SOS ON IPOD NOW....OMG.....OMG.....YAY!! SOS please some one help me.....heehee
6) I LOVE the SUN :) - and just think....POOL time SOON :)
7) I keep pushing repeat on my ipod lol ;)
8) Tomorrow night we are going to set up your ipod (Penelope McRockin ;-))!!!!! I will see if there are any new songs on Itunes tonight and make a fresh CD :) we will get it pumpin for ya!
8) Sooo excited it is Friday!

Have sooo much fun tonight and I will call you tomorrow early afternoon :-)

The Mufster

Happy Happy Joy Joy.....

Mc-Delightful!!! How are you today?? Happy Fabulous Friday! ( and half way done too :)- yay!). Thanks for the text! I figured you were out and about ;) I always forget and leave my aim on ;) Anyway....soooo are you excited about this evening? Sooo fun! Looking forward to hearing about the 9:30 club! Our concert is coming up soon too! YAY!!!

Soooo thoughts on where to meet up tomorrow evening? SHould we rock our from your place or mine? Either one is fine with me :). Apparel?? heehee...

Also, random but...I got an email from TJ (ex-boy), he is graduating tomorrow and then leaving for Tampa tomorrow night with some of his friends. They are acutally stopping near DC to take a break and he asked if he could come and see me and take me out to lunch. I said yes because I figured....this is probably the best time to see him because it is in my environment and it is just for a few hours. We have been talking and things are really good (friend wise - and that is it) now that all of the drama with breaking up has settled. Point blank - he is a good guy that was a part of my life that I would like to remain close friends with. SOoo my point is that he told me to invite you to lunch. It is going to be wicked nonchalant and just fun. Soooo....I was wondering if maybe you would want to meet up for lunch. I promise you things will not be akward or anything but it will give him a chance to meet you. I figured that we could just meet up in Bethesda at one of the places, sit outside and chat. Let me know what you think or if you have plans already...but if you don't I would love for you to come :)

Annnnnywhoooooooo I hope that you are having a fabulous day ;) I will chat with you later :) !!!!

Hip-Hip-Hooray!!!! It is FRIDAY :)

~Muf-appy :)

Thursday, May 11, 2006



WOOOOT WOOOT :) YEAH!!!!!! Omg...you kill me. I am soooo glad you wrote! I needed the pick me uper! Work is a weeeee bit crazy ;)

SOOOO excited about this weekend! Lets DEFINITELY do dinner and drinks and then venture out! Which is easier - starting at my place or yours? I can not wait to hang out! I miss you so much - Im cheesy I know heehee!!! OHHHHH Great idea! So we took tons o'pictures and even videos so maybe we can watch it/look at them while we pre-game :)!!!! Then venture to the P-A-R-T-A-Y!!! SOOO Excited to PARRRRTAY! :) I agree with the maybe hitting up the bars after - i want to dance :) and mmmm and how we love the morgan :) And can not believe you could not find the brass monkey! That is comical!!!

OMG I had so much fun last night. SO good to catch up with everyone!! Glad that Laura joined the festivities. She is great. And....I really did try to button nate's shirt...not caress his chest hair!! (ewwww) lol.

SOOOOOO excited that Thursday is almost done!!! I hope you are having a FABULOUS day ;)
I will chat with you lata ;)

~ Mu-loooooooooooopy :)

Wednesday, May 03, 2006

Work it....work it....work it :)

Work it ...work it....a little to the left....smile....a little to your other left .....now model those streams ;)

MDeadline Queen!!!YAY! So happy you are being productive. I am also swwwwamped (like an aligator ;)) I have been running around all day!!!! I have a meeting tomorrow in DC and I still have yet to receive materials from some of the presenters. SO i have been waiting on that (come on people - work with me!) and trying to get everything else ready before I leave for Paris! I just went to see the hotel for tomorrow meeting and it is very nice. Going to work perfectly!!

As for tonight....I think i might even be here late. SO please no worries...stay and bust out your work. We can get together next week as soon as I get back! I wish you the best of luck with those models! Hopefully they are in a good mood given this lovely weather!

Have a good afternoon. I will chat with you lata! Now bust a move in those streams!

Muf-a -gator ;)

Tuesday, May 02, 2006

Lalalalala ....OHHHH...OHHHH

SOS just came on my IPOD! OMG I adore this song :) And since we never know the words....I think we should learn :) LOL.

Intro] Lalala, lalala, lalalalala, Ohhh (You know, I never felt like this before)Lalala, lalala, lalalalala, Ohhh (This feeling's like so real)

[Verse 1] I'm obessive when just one thought of you comes up I'm aggressive, 'cos just one thought ain't close enough You got me stressing, incessantly pressing the issueCause every moment gone you know I miss you I'm the question and you're of course the answer Just hold me close boy cause I'm your tiny dancer You make me shaken up, I'm never mistaken but I can't control myself, got me calling out for Help

[Chorus] S-O-S please someone help me. It's not healthy for me to feel this Y-O-U-R making this hardI can't take it see it don't feel right. S-O-S please someone help me, It's not healthy for me to feel this Y-O-U-R making this hardYou got me tossing and turning can't sleep at night

[Bridge] This time please someone come and rescue me 'Cause you on my mind has got me losing it I'm lost, you got me lookin for the rest of me Love is testing me but still I'm losing itThis time please someone come and rescue me 'cause you on my mind has got me losing it, I'm lost you got me looking for the rest of me, Got the best of me, so now I'm losing it.

[Verse 2] Just your presence and I second guess my sanity, yes it's a lesson, it's unfair, you stole my vanity My tummy's up in knots, and when i see ya it gets so hot My common sense is out the door, can't seem to find the lock Take on me (uh huh) you know inside you feel it rightTake me on, I could just die up in your arms tonight!I melt with you, ya got me head over heels, (over heels)boy you keep me hanging on the way you make me feel

[Chorus] S-O-S, please someone help me (somebody help me) It's not healthy for me to feel this Y-O-U-R making this hardYou got me tossing and turning can't sleep at night.

[Bridge] This time please someone come and rescue me 'cause you on my mind has got me losing it I'm lost, you got me lookin for the rest of me Love is testing me but still I'm losing itThis time please some one come and rescue me 'cause you on my mind has got me losing it, I'm lost you got me looking for the rest of me, Got the best of me, so now I'm losing it.

[Verse 3:]Boy you know you got me feeling open and Boy our loves enough with words unspoken I said BOY I'm telling you, you got me open, I don't know what to do it's true, I'm going crazy over you, I'm begging

[Chorus] S-O-S, please someone help me (somebody help me)It's not healthy for me to feel this Y-O-U-R making this hardYou got me tossing and turning can't sleep at night.

[Bridge] This time please someone come and rescue me cause you on my mind has got me losing it I'm lost, you got me lookin for the rest of me Love is testing me but still I'm losing itThis time please some one come and rescue me 'cause you on my mind has got me losing it, I'm lost you got me looking for the rest of me, Got the best of me, so now I'm losing it.

[Outro]Lalala, lalala, lalalalala, Ohhh, Oh OhLalala, lalala, lalalalala, Ohhh, Oh Oh


~Muf - hanna

Lo-lo-lo-lo-VE le target ;)


Heehee! Good morning! How are you on this fabulous Tuesday? Hopefully not too tired! So fun last night, and dinner was delicious! I love having girl nights, esp when my sister partakes!

Ok this is a must see : http://www.target.com/gp/browse.html/ref=sc_iw_r_1_0/602-1188826-7317435?%5Fencoding=UTF8&node=16275561

We have to go! so thoughts....any plans for tomorrow night? I know you have to work a lot this week - but thought if you have time maybe we can get together. I can come up to you and then maybe we can go to target and grab dinner or just hang out. If you are too busy that is MORE than fine! Just a suggestion!

I hope that you have a fabulous day! I will write more lata ;)

Have fun streaming those models....mmmm...any delicious ones ;)

~ Muf-alapagus (NO IDEA ;-) )